## Input
+++
No. 1
The following is a PBE with a Hubbard U calculation of crystalline Fe13Sn2O20 at its relaxed geometry, from Materials Project.

Results
ΔH_f (0 K): -1.077 eV per atom
Calculated total energy: -6.05 eV per atom
Symmetry: P-1, No. 2

abc: 6.1283 8.6161 16.0409
angles: 105.19 100.52 90.44
Last column: nearest neighbours and their distance in Å.
Fractional coordinates of all 70 atoms:
Fe (0.0000, 0.0000, 0.0000)  6 O 2.10-2.17
Fe (0.0000, 0.0000, 0.5000)  6 O 2.03-2.10
Fe (0.0418, 0.4227, 0.1008)  4 O 1.86-1.97
Fe (0.0937, 0.1057, 0.2017)  6 O 2.06-2.17
Fe (0.0959, 0.6058, 0.7007)  6 O 2.07-2.21
Fe (0.1545, 0.7787, 0.3005)  4 O 1.90-1.97
Fe (0.2008, 0.1942, 0.9005)  6 O 2.06-2.19
Fe (0.2008, 0.1963, 0.3954)  6 O 1.94-2.10
Fe (0.2457, 0.6154, 0.4985)  4 O 1.99-2.12
Fe (0.3502, 0.9661, 0.7005)  4 O 1.98-2.09
Fe (0.3921, 0.3906, 0.2976)  6 O 2.06-2.23
Fe (0.3958, 0.4123, 0.8049)  6 O 1.98-2.18
Fe (0.4415, 0.8246, 0.8973)  4 O 1.90-1.96
Fe (0.5000, 0.0000, 0.5000)  6 O 2.03-2.08
Fe (0.5000, 0.5000, 0.0000)  6 O 2.10-2.17
Fe (0.5585, 0.1754, 0.1027)  4 O 1.90-1.96
Fe (0.6042, 0.5877, 0.1951)  6 O 1.98-2.18
Fe (0.6079, 0.6094, 0.7024)  6 O 2.06-2.23
Fe (0.6498, 0.0339, 0.2995)  4 O 1.98-2.09
Fe (0.7543, 0.3846, 0.5015)  4 O 1.99-2.12
Fe (0.7992, 0.8037, 0.6046)  6 O 1.94-2.10
Fe (0.7992, 0.8058, 0.0995)  6 O 2.06-2.19
Fe (0.8455, 0.2213, 0.6995)  4 O 1.90-1.97
Fe (0.9041, 0.3942, 0.2993)  6 O 2.07-2.21
Fe (0.9063, 0.8943, 0.7983)  6 O 2.06-2.17
Fe (0.9582, 0.5773, 0.8992)  4 O 1.86-1.97
Sn (0.3003, 0.3036, 0.5987)  6 O 2.02-2.12
Sn (0.3017, 0.8038, 0.1013)  6 O 2.07-2.15
Sn (0.6983, 0.1962, 0.8987)  6 O 2.07-2.15
Sn (0.6997, 0.6964, 0.4013)  6 O 2.02-2.12
O (0.0130, 0.7588, 0.0048)  3 Fe 1.96-2.15, 1 Sn 2.09
O (0.0201, 0.2334, 0.4967)  3 Fe 2.03-2.09, 1 Sn 2.10
O (0.0707, 0.8426, 0.6941)  4 Fe 1.95-2.08
O (0.0916, 0.3477, 0.2013)  3 Fe 1.86-2.09
O (0.1026, 0.8518, 0.1967)  1 Fe 1.90, 1 Sn 2.09
O (0.1141, 0.3503, 0.7008)  3 Fe 1.97-2.21, 1 Sn 2.12
O (0.1930, 0.9545, 0.8989)  3 Fe 1.90-2.11
O (0.2048, 0.4244, 0.3943)  4 Fe 1.97-2.13
O (0.2066, 0.9580, 0.4062)  4 Fe 1.95-2.10
O (0.2160, 0.4473, 0.8996)  3 Fe 1.94-2.10
O (0.2924, 0.0538, 0.5891)  3 Fe 2.04-2.09, 1 Sn 2.12
O (0.2954, 0.0456, 0.1022)  3 Fe 1.95-2.17, 1 Sn 2.08
O (0.3010, 0.5425, 0.6083)  3 Fe 1.99-2.15, 1 Sn 2.02
O (0.3069, 0.5560, 0.1036)  3 Fe 1.97-2.17, 1 Sn 2.15
O (0.3704, 0.1511, 0.3013)  4 Fe 1.94-2.08
O (0.4044, 0.6386, 0.7978)  3 Fe 1.92-2.11
O (0.4102, 0.1736, 0.8055)  3 Fe 2.06-2.14, 1 Sn 2.07
O (0.4147, 0.6499, 0.3004)  2 Fe 1.95-2.18, 1 Sn 2.11
O (0.4739, 0.2326, 0.4947)  3 Fe 2.03-2.12, 1 Sn 2.10
O (0.4946, 0.7472, 0.0032)  3 Fe 1.96-2.16, 1 Sn 2.10
O (0.5054, 0.2528, 0.9968)  3 Fe 1.96-2.16, 1 Sn 2.10
O (0.5261, 0.7674, 0.5053)  3 Fe 2.03-2.12, 1 Sn 2.10
O (0.5853, 0.3501, 0.6996)  2 Fe 1.95-2.18, 1 Sn 2.11
O (0.5898, 0.8264, 0.1945)  3 Fe 2.06-2.14, 1 Sn 2.07
O (0.5956, 0.3614, 0.2022)  3 Fe 1.92-2.11
O (0.6296, 0.8489, 0.6987)  4 Fe 1.94-2.08
O (0.6931, 0.4440, 0.8964)  3 Fe 1.97-2.17, 1 Sn 2.15
O (0.6990, 0.4575, 0.3917)  3 Fe 1.99-2.15, 1 Sn 2.02
O (0.7046, 0.9544, 0.8978)  3 Fe 1.95-2.17, 1 Sn 2.08
O (0.7076, 0.9462, 0.4109)  3 Fe 2.04-2.09, 1 Sn 2.12
O (0.7840, 0.5527, 0.1004)  3 Fe 1.94-2.10
O (0.7934, 0.0420, 0.5938)  4 Fe 1.95-2.10
O (0.7952, 0.5756, 0.6057)  4 Fe 1.97-2.13
O (0.8070, 0.0455, 0.1011)  3 Fe 1.90-2.11
O (0.8859, 0.6497, 0.2992)  3 Fe 1.97-2.21, 1 Sn 2.12
O (0.8974, 0.1482, 0.8033)  1 Fe 1.90, 1 Sn 2.09
O (0.9084, 0.6523, 0.7987)  3 Fe 1.86-2.09
O (0.9293, 0.1574, 0.3059)  4 Fe 1.95-2.08
O (0.9799, 0.7666, 0.5033)  3 Fe 2.03-2.09, 1 Sn 2.10
O (0.9870, 0.2412, 0.9952)  3 Fe 1.96-2.15, 1 Sn 2.09

No. 2
The following is a PBE with a Hubbard U calculation of crystalline Sr2FeSnO6 at its relaxed geometry, from Materials Project.

Results
ΔH_f (0 K): -2.374 eV per atom
Calculated total energy: -6.29 eV per atom
Symmetry: Fmm2, No. 42
Energy above the lowest structure with this stoichiometry: 0.11 eV per formula unit
+++
## Brief
The reader should restate the part of the entries earlier on that starts with the line with "0.0048)" and stops after the one with "0.3013)".
## Completed
O (0.0130, 0.7588, 0.0048)  3 Fe 1.96-2.15, 1 Sn 2.09
O (0.0201, 0.2334, 0.4967)  3 Fe 2.03-2.09, 1 Sn 2.10
O (0.0707, 0.8426, 0.6941)  4 Fe 1.95-2.08
O (0.0916, 0.3477, 0.2013)  3 Fe 1.86-2.09
O (0.1026, 0.8518, 0.1967)  1 Fe 1.90, 1 Sn 2.09
O (0.1141, 0.3503, 0.7008)  3 Fe 1.97-2.21, 1 Sn 2.12
O (0.1930, 0.9545, 0.8989)  3 Fe 1.90-2.11
O (0.2048, 0.4244, 0.3943)  4 Fe 1.97-2.13
O (0.2066, 0.9580, 0.4062)  4 Fe 1.95-2.10
O (0.2160, 0.4473, 0.8996)  3 Fe 1.94-2.10
O (0.2924, 0.0538, 0.5891)  3 Fe 2.04-2.09, 1 Sn 2.12
O (0.2954, 0.0456, 0.1022)  3 Fe 1.95-2.17, 1 Sn 2.08
O (0.3010, 0.5425, 0.6083)  3 Fe 1.99-2.15, 1 Sn 2.02
O (0.3069, 0.5560, 0.1036)  3 Fe 1.97-2.17, 1 Sn 2.15
O (0.3704, 0.1511, 0.3013)  4 Fe 1.94-2.08